Work order.
What is needed: retype everything further below character by character.

File.
1.
DFT (ωB97M-V/def2-TZVPD) results for C3H8N2O2 in the gas phase at a distorted geometry.

Cartesian coordinates (Å):
1 C 0.5350 0.1294 0.2843
2 C 1.3092 -0.8350 -0.6054
3 C -1.0563 0.3626 -0.1624
4 N -1.8609 -0.6629 0.1888
5 O 0.6305 -0.3295 1.6161
6 O 1.1681 1.3888 0.1671
7 N -1.4615 1.4044 -0.7804
8 H -0.1241 0.0599 2.0870
9 H 0.8356 1.9829 0.8588
10 H -2.6825 -0.7608 -0.4041
11 H -1.1697 -1.4328 0.4036
12 H -0.6759 1.9398 -1.1689
13 H 1.2801 -0.5162 -1.6519
14 H 2.3608 -0.8786 -0.2978
15 H 0.9117 -1.8521 -0.5347

Summary:
Gap between HOMO and LUMO, eV: 9.96
Relative energy (zero: lowest compared OMol25 entry of this formula, charge and spin), eV: 1.392
Structure (SMILES): [H]/N=C(/N)C(C)(O)O
Electronic energy, eV: -10315.56050
HOMO level, eV: -9.30
2S+1: 1

=====

2.
DFT (ωB97M-V/def2-TZVPD) results for 2 unconnected molecules or ions with the total composition C3H8N2O2 at a distorted geometry.

Cartesian coordinates (Å):
1 C 0.0673 1.0521 -0.9746
2 N -1.1933 1.6400 -0.9383
3 O 1.0500 1.6138 -0.4011
4 O 0.2745 0.4155 -2.1874
5 H 1.4652 0.8336 0.6708
6 H 1.2175 0.2164 -2.2554
7 H -0.0851 -0.1820 -0.0081
8 H -1.2015 2.5712 -0.5540
9 H -1.7602 1.4982 -1.7594
10 C -0.2715 -1.9802 1.4111
11 C 0.4044 -0.7106 1.0480
12 N 1.3645 -0.0755 1.4475
13 H -0.2611 -2.6674 0.5647
14 H 0.2404 -2.4377 2.2563
15 H -1.3111 -1.7872 1.6798

Summary:
Gap between HOMO and LUMO, eV: 9.51
Relative energy (zero: lowest compared OMol25 entry of this formula, charge and spin), eV: 2.650
Structure (SMILES): [H]/N=C/C.NC(=O)O
Electronic energy, eV: -10314.30203
HOMO level, eV: -8.97
2S+1: 1

=====

3.
DFT (ωB97M-V/def2-TZVPD) results for C3H8N2O2 in the gas phase at a distorted geometry.

Cartesian coordinates (Å):
1 N -0.5005 1.6566 -0.3208
2 C -0.3149 0.2122 -0.4433
3 C -0.7804 -0.4974 0.8402
4 O -2.0552 -0.1946 1.2862
5 C 1.0698 -0.2057 -0.9627
6 N 1.8337 -1.0464 -0.1881
7 O 1.4667 0.2967 -1.9846
8 H 0.3249 2.2350 -0.2495
9 H -1.0217 2.0052 -1.1101
10 H -1.0652 -0.0499 -1.1903
11 H -0.6369 -1.5693 0.7068
12 H -0.0285 -0.1937 1.5911
13 H -2.0336 0.4981 1.9447
14 H 2.2809 -1.8098 -0.6213
15 H 1.4608 -1.3371 0.7017

Summary:
Gap between HOMO and LUMO, eV: 10.12
Relative energy (zero: lowest compared OMol25 entry of this formula, charge and spin), eV: 1.288
Structure (SMILES): NC(=O)[C@H](N)CO
Electronic energy, eV: -10315.66438
HOMO level, eV: -9.40
2S+1: 1

=====

4.
DFT (ωB97M-V/def2-TZVPD) results for C3H8N2O2 in the gas phase at a distorted geometry.

Cartesian coordinates (Å):
1 O -0.1165 -0.3249 -2.1344
2 C -0.8305 0.2961 -1.3480
3 N -1.8462 1.2166 -1.7496
4 C -0.4764 0.4751 0.2065
5 N 0.1788 -0.7700 0.5614
6 C 0.8682 -0.9105 1.8507
7 O 2.0503 -0.1787 2.0922
8 H -1.9686 1.3115 -2.7713
9 H -1.9134 2.0137 -1.1955
10 H 0.0727 1.4388 0.4656
11 H -1.4404 0.6613 0.7546
12 H 0.7300 -1.1052 -0.1930
13 H 0.1218 -0.8958 2.6827
14 H 1.1973 -1.9539 1.7765
15 H 2.0339 0.2681 2.8802

Summary:
Gap between HOMO and LUMO, eV: 10.03
Relative energy (zero: lowest compared OMol25 entry of this formula, charge and spin), eV: 1.690
Structure (SMILES): NC(=O)CNCO
Electronic energy, eV: -10315.26267
HOMO level, eV: -9.30
2S+1: 1

~~~~~

Molecular formula: C3H6N2
Method: DFT, the ωB97M-V functional and the def2-TZVPD basis

Last column: Löwdin charge in e.
Atoms and positions in Å:
C: -1.35868 -0.82523 -0.01052  -0.027
N: -0.63831 0.26825 -0.09484  -0.095
C: 0.57248 0.48195 -0.65216  -0.204
C: 1.14267 1.76365 -0.55708  -0.273
N: 1.60407 2.82965 -0.46411  0.110
H: -0.99996 -1.72896 -0.48385  0.072
H: -2.30794 -0.78341 0.50104  0.068
H: 0.70517 -1.60247 1.41361  0.038
H: -1.03141 1.08855 0.36000  0.166
H: 1.27100 -1.16830 1.18700  0.041
H: 1.04092 -0.32368 -1.19909  0.104

Response.
1.
DFT (ωB97M-V/def2-TZVPD) results for C3H8N2O2 in the gas phase at a distorted geometry.

Cartesian coordinates (Å):
1 C 0.5350 0.1294 0.2843
2 C 1.3092 -0.8350 -0.6054
3 C -1.0563 0.3626 -0.1624
4 N -1.8609 -0.6629 0.1888
5 O 0.6305 -0.3295 1.6161
6 O 1.1681 1.3888 0.1671
7 N -1.4615 1.4044 -0.7804
8 H -0.1241 0.0599 2.0870
9 H 0.8356 1.9829 0.8588
10 H -2.6825 -0.7608 -0.4041
11 H -1.1697 -1.4328 0.4036
12 H -0.6759 1.9398 -1.1689
13 H 1.2801 -0.5162 -1.6519
14 H 2.3608 -0.8786 -0.2978
15 H 0.9117 -1.8521 -0.5347

Summary:
Gap between HOMO and LUMO, eV: 9.96
Relative energy (zero: lowest compared OMol25 entry of this formula, charge and spin), eV: 1.392
Structure (SMILES): [H]/N=C(/N)C(C)(O)O
Electronic energy, eV: -10315.56050
HOMO level, eV: -9.30
2S+1: 1

=====

2.
DFT (ωB97M-V/def2-TZVPD) results for 2 unconnected molecules or ions with the total composition C3H8N2O2 at a distorted geometry.

Cartesian coordinates (Å):
1 C 0.0673 1.0521 -0.9746
2 N -1.1933 1.6400 -0.9383
3 O 1.0500 1.6138 -0.4011
4 O 0.2745 0.4155 -2.1874
5 H 1.4652 0.8336 0.6708
6 H 1.2175 0.2164 -2.2554
7 H -0.0851 -0.1820 -0.0081
8 H -1.2015 2.5712 -0.5540
9 H -1.7602 1.4982 -1.7594
10 C -0.2715 -1.9802 1.4111
11 C 0.4044 -0.7106 1.0480
12 N 1.3645 -0.0755 1.4475
13 H -0.2611 -2.6674 0.5647
14 H 0.2404 -2.4377 2.2563
15 H -1.3111 -1.7872 1.6798

Summary:
Gap between HOMO and LUMO, eV: 9.51
Relative energy (zero: lowest compared OMol25 entry of this formula, charge and spin), eV: 2.650
Structure (SMILES): [H]/N=C/C.NC(=O)O
Electronic energy, eV: -10314.30203
HOMO level, eV: -8.97
2S+1: 1

=====

3.
DFT (ωB97M-V/def2-TZVPD) results for C3H8N2O2 in the gas phase at a distorted geometry.

Cartesian coordinates (Å):
1 N -0.5005 1.6566 -0.3208
2 C -0.3149 0.2122 -0.4433
3 C -0.7804 -0.4974 0.8402
4 O -2.0552 -0.1946 1.2862
5 C 1.0698 -0.2057 -0.9627
6 N 1.8337 -1.0464 -0.1881
7 O 1.4667 0.2967 -1.9846
8 H 0.3249 2.2350 -0.2495
9 H -1.0217 2.0052 -1.1101
10 H -1.0652 -0.0499 -1.1903
11 H -0.6369 -1.5693 0.7068
12 H -0.0285 -0.1937 1.5911
13 H -2.0336 0.4981 1.9447
14 H 2.2809 -1.8098 -0.6213
15 H 1.4608 -1.3371 0.7017

Summary:
Gap between HOMO and LUMO, eV: 10.12
Relative energy (zero: lowest compared OMol25 entry of this formula, charge and spin), eV: 1.288
Structure (SMILES): NC(=O)[C@H](N)CO
Electronic energy, eV: -10315.66438
HOMO level, eV: -9.40
2S+1: 1

=====

4.
DFT (ωB97M-V/def2-TZVPD) results for C3H8N2O2 in the gas phase at a distorted geometry.

Cartesian coordinates (Å):
1 O -0.1165 -0.3249 -2.1344
2 C -0.8305 0.2961 -1.3480
3 N -1.8462 1.2166 -1.7496
4 C -0.4764 0.4751 0.2065
5 N 0.1788 -0.7700 0.5614
6 C 0.8682 -0.9105 1.8507
7 O 2.0503 -0.1787 2.0922
8 H -1.9686 1.3115 -2.7713
9 H -1.9134 2.0137 -1.1955
10 H 0.0727 1.4388 0.4656
11 H -1.4404 0.6613 0.7546
12 H 0.7300 -1.1052 -0.1930
13 H 0.1218 -0.8958 2.6827
14 H 1.1973 -1.9539 1.7765
15 H 2.0339 0.2681 2.8802

Summary:
Gap between HOMO and LUMO, eV: 10.03
Relative energy (zero: lowest compared OMol25 entry of this formula, charge and spin), eV: 1.690
Structure (SMILES): NC(=O)CNCO
Electronic energy, eV: -10315.26267
HOMO level, eV: -9.30
2S+1: 1

~~~~~

Molecular formula: C3H6N2
Method: DFT, the ωB97M-V functional and the def2-TZVPD basis

Last column: Löwdin charge in e.
Atoms and positions in Å:
C: -1.35868 -0.82523 -0.01052  -0.027
N: -0.63831 0.26825 -0.09484  -0.095
C: 0.57248 0.48195 -0.65216  -0.204
C: 1.14267 1.76365 -0.55708  -0.273
N: 1.60407 2.82965 -0.46411  0.110
H: -0.99996 -1.72896 -0.48385  0.072
H: -2.30794 -0.78341 0.50104  0.068
H: 0.70517 -1.60247 1.41361  0.038
H: -1.03141 1.08855 0.36000  0.166
H: 1.27100 -1.16830 1.18700  0.041
H: 1.04092 -0.32368 -1.19909  0.104